• Assignment:
Count the lines further below that contain the word "P-1" and give the number alone.

• Excerpt:
[1]
Below is an optimized crystal structure of GdHCO4, with properties calculated at the PBE level.

Properties
E_form: -2.5325 eV/atom
DFT total energy: -8.78 eV per atom
magnetization: 0.9999 μB/atom

a b c (Å): 4.917 7.164 8.611
angles (deg): 90.00 90.00 90.00
Space group P2_12_12_1 (No. 19)
One atom of each set of equivalent atoms:
1 Gd 0.002 0.111 0.162
2 H 0.102 0.746 0.030
3 C 0.001 0.551 0.672
4 O 0.001 0.954 0.702
5 O 0.006 0.293 0.383
6 O 0.225 0.096 0.896
7 O 0.231 0.596 0.608

[2]
Below is an optimized crystal structure of GdPH5CO7, with properties calculated at the PBE level.

Properties
E_form: -1.9967 eV/atom
DFT total energy: -7.03 eV per atom
magnetization: 0.4671 μB/atom

a b c (Å): 6.608 7.000 7.838
angles (deg): 111.67 96.28 90.38
Space group P-1 (No. 2)
One atom of each set of equivalent atoms:
1 Gd 0.127 0.222 0.434
2 P 0.327 0.749 0.481
3 H 0.165 0.521 0.822
4 H 0.280 0.327 0.852
5 H 0.372 0.708 0.300
6 H 0.475 0.258 0.107
7 H 0.483 0.881 0.092
8 C 0.060 0.907 0.002
9 O 0.053 0.754 0.850
10 O 0.155 0.920 0.155
11 O 0.181 0.572 0.475
12 O 0.197 0.942 0.538
13 O 0.215 0.382 0.760
14 O 0.412 0.200 0.978
15 O 0.472 0.223 0.394

[3]
Below is an optimized crystal structure of Gd3InC, with properties calculated at the PBE level.

Properties
E_form: 1.5435 eV/atom
DFT total energy: -9.30 eV per atom
magnetization: 4.2381 μB/atom

a b c (Å): 5.660 5.660 5.660
angles (deg): 90.00 90.00 90.00
Space group Pm-3m (No. 221)
One atom of each set of equivalent atoms:
1 Gd 0.000 0.000 0.500
2 In 0.000 0.000 0.000
3 C 0.500 0.500 0.500

Please write out number 2 again, unchanged.
Below is an optimized crystal structure of GdPH5CO7, with properties calculated at the PBE level.

Properties
E_form: -1.9967 eV/atom
DFT total energy: -7.03 eV per atom
magnetization: 0.4671 μB/atom

a b c (Å): 6.608 7.000 7.838
angles (deg): 111.67 96.28 90.38
Space group P-1 (No. 2)
One atom of each set of equivalent atoms:
1 Gd 0.127 0.222 0.434
2 P 0.327 0.749 0.481
3 H 0.165 0.521 0.822
4 H 0.280 0.327 0.852
5 H 0.372 0.708 0.300
6 H 0.475 0.258 0.107
7 H 0.483 0.881 0.092
8 C 0.060 0.907 0.002
9 O 0.053 0.754 0.850
10 O 0.155 0.920 0.155
11 O 0.181 0.572 0.475
12 O 0.197 0.942 0.538
13 O 0.215 0.382 0.760
14 O 0.412 0.200 0.978
15 O 0.472 0.223 0.394

----------

[1]
Compound: V3O5F
Source: the Materials Project
Functional: PBE with a Hubbard U
Structure: optimized geometry

Unit cell a=4.609 b=5.527 c=7.637 alpha=93.20 beta=90.04 gamma=90.02
Space group P1 (No. 1)
One atom of each set of equivalent atoms:
V1 0.000 0.000 0.000 x1
V2 0.008 0.335 0.356 x1
V3 0.461 0.821 0.357 x1
V4 0.500 0.499 0.040 x1
V5 0.509 0.167 0.683 x1
V6 0.961 0.681 0.682 x1
O1 0.195 0.958 0.787 x1
O2 0.206 0.299 0.110 x1
O3 0.206 0.638 0.463 x1
O4 0.292 0.803 0.124 x1
O5 0.318 0.130 0.449 x1
O6 0.696 0.543 0.253 x1
O7 0.705 0.865 0.577 x1
O8 0.706 0.201 0.931 x1
O9 0.792 0.698 0.916 x1
O10 0.817 0.372 0.592 x1
F1 0.299 0.475 0.790 x1
F2 0.801 0.026 0.251 x1

Properties
E_tot = -7.5870 eV/atom
calculated density = 4.31 g cm⁻³
ΔH_f (0 K) = -2597.1 meV per atom
corrected total energy (MP2020 scheme) = -154.6 eV for the cell shown

[2]
Compound: Li6Co5Ni3O16
Source: the Materials Project
Functional: PBE with a Hubbard U
Structure: optimized geometry

Unit cell a=5.643 b=5.684 c=9.187 alpha=91.37 beta=90.05 gamma=119.60
Space group P1 (No. 1)
One atom of each set of equivalent atoms:
Li1 0.000 0.000 0.000 x1
Li2 0.000 0.499 0.995 x1
Li3 0.167 0.829 0.499 x1
Li4 0.498 0.498 0.995 x1
Li5 0.662 0.828 0.499 x1
Li6 0.663 0.324 0.497 x1
Co1 0.003 0.497 0.731 x1
Co2 0.166 0.329 0.459 x1
Co3 0.494 0.496 0.731 x1
Co4 0.503 0.005 0.957 x1
Co5 0.663 0.324 0.231 x1
Ni1 0.002 0.002 0.733 x1
Ni2 0.171 0.836 0.232 x1
Ni3 0.666 0.836 0.232 x1
O1 0.158 0.824 0.857 x1
O2 0.172 0.341 0.839 x1
O3 0.314 0.628 0.605 x1
O4 0.322 0.192 0.597 x1
O5 0.356 0.713 0.094 x1
O6 0.363 0.162 0.095 x1
O7 0.498 0.487 0.359 x1
O8 0.506 0.010 0.340 x1
O9 0.662 0.824 0.858 x1
O10 0.671 0.342 0.849 x1

• Done:
2